Given:
Entry 1:
Here is a geometry-optimized Ce2Co3Ge4Pt structure from the Alexandria database. Energies are from PBE-GGA.

Unit cell a=4.128 b=4.128 c=9.876 alpha=90.00 beta=90.00 gamma=90.00
Sites, in units of the cell vectors:
Ce (0.000, 0.500, 0.240)
Ce (0.500, 0.000, 0.760)
Co (0.000, 0.500, 0.877)
Co (0.500, 0.000, 0.123)
Co (0.500, 0.500, 0.500)
Ge (0.000, 0.000, 0.000)
Ge (0.000, 0.500, 0.642)
Ge (0.500, 0.000, 0.358)
Ge (0.500, 0.500, 0.000)
Pt (0.000, 0.000, 0.500)

Output
**Formation energy**: -0.668 eV per atom
**D(E_F)**: 1.064 states/eV/atom



Entry 2:
Here is a geometry-optimized K2CaSb structure from the Alexandria database. Energies are from PBE-GGA.

Unit cell a=5.920 b=5.920 c=5.920 alpha=119.92 beta=119.92 gamma=90.15
Sites, in units of the cell vectors:
K (0.000, 0.000, 0.000)
K (0.750, 0.250, 0.500)
Ca (0.500, 0.500, 0.000)
Sb (0.250, 0.750, 0.500)

Output
**Raw formation energy**: -23.7 kJ/mol of atoms
**D(E_F)**: 0.893 states/eV/atom



Entry 3:
Here is a geometry-optimized Zn2RuCl structure from the Alexandria database. Energies are from PBE-GGA.

Unit cell a=4.683 b=4.683 c=2.996 alpha=90.00 beta=90.00 gamma=109.64
Sites, in units of the cell vectors:
Zn (0.000, 0.500, 0.000)
Zn (0.500, 0.000, 0.000)
Ru (0.000, 0.000, 0.500)
Cl (0.500, 0.500, 0.500)

Output
**Excess energy over the best structure of this formula in the dataset**: 233.5 meV/atom
**Raw formation energy**: 15.9 kJ/mol of atoms
**D(E_F)**: 0.527 states/eV/atom

=====

# NbInP2Cl | Alexandria | PBE | relaxed
data_NbInP2Cl
_symmetry_space_group_name_H-M 'P 1'
_symmetry_Int_Tables_number 1
_cell_length_a 5.0142
_cell_length_b 5.0142
_cell_length_c 5.0502
_cell_angle_alpha 90.00
_cell_angle_beta 90.00
_cell_angle_gamma 90.00
loop_
_symmetry_equiv_pos_as_xyz
'x,y,z'
loop_
_atom_site_label
_atom_site_type_symbol
_atom_site_fract_x
_atom_site_fract_y
_atom_site_fract_z
P1 P 0.0000 0.5000 0.0000
P2 P 0.5000 0.0000 0.0000
Nb1 Nb 0.5000 0.5000 0.5000
Cl1 Cl 0.0000 0.0000 0.5000
In1 In 0.0000 0.0000 0.0000
# - SG: P4/mmm (123)
# - Electronic total energy: -4.05 eV/atom
# - Uncorrected formation energy: 1.044 eV per atom



# Pm2PrGe | Alexandria | PBE | relaxed
data_Pm2PrGe
_symmetry_space_group_name_H-M 'P 1'
_symmetry_Int_Tables_number 1
_cell_length_a 3.7232
_cell_length_b 3.7232
_cell_length_c 11.3454
_cell_angle_alpha 80.56
_cell_angle_beta 80.56
_cell_angle_gamma 60.00
loop_
_symmetry_equiv_pos_as_xyz
'x,y,z'
loop_
_atom_site_label
_atom_site_type_symbol
_atom_site_fract_x
_atom_site_fract_y
_atom_site_fract_z
Pr1 Pr 0.0000 0.0000 0.0000
Ge1 Ge 0.5000 0.5000 0.5000
Pm1 Pm 0.1070 0.1070 0.6789
Pm2 Pm 0.8930 0.8930 0.3211
# - SG: R-3m (166)
# - Energy of formation from the pure elements: -0.07 eV/atom
# - Electronic total energy: -4.79 eV/atom



# Li4Cd2Pb3 | Alexandria | PBE | relaxed
data_Li4Cd2Pb3
_symmetry_space_group_name_H-M 'P 1'
_symmetry_Int_Tables_number 1
_cell_length_a 9.3958
_cell_length_b 10.3039
_cell_length_c 5.8802
_cell_angle_alpha 90.00
_cell_angle_beta 90.00
_cell_angle_gamma 133.61
loop_
_symmetry_equiv_pos_as_xyz
'x,y,z'
loop_
_atom_site_label
_atom_site_type_symbol
_atom_site_fract_x
_atom_site_fract_y
_atom_site_fract_z
Li1 Li 0.8814 0.1424 0.5010
Li2 Li 0.6186 0.8576 0.0010
Li3 Li 0.1186 0.8576 0.4990
Li4 Li 0.3814 0.1424 0.9990
Li5 Li 0.7509 0.5004 0.2484
Li6 Li 0.7491 0.4996 0.7484
Li7 Li 0.2491 0.4996 0.7516
Li8 Li 0.2509 0.5004 0.2516
Cd1 Cd 0.5442 0.1606 0.4972
Cd2 Cd 0.9558 0.8394 0.9972
Cd3 Cd 0.4558 0.8394 0.5028
Cd4 Cd 0.0442 0.1606 0.0028
Pb1 Pb 0.0000 0.5000 0.5000
Pb2 Pb 0.5000 0.5000 0.0000
Pb3 Pb 0.7962 0.2606 0.9994
Pb4 Pb 0.7038 0.7394 0.4994
Pb5 Pb 0.2038 0.7394 0.0006
Pb6 Pb 0.2962 0.2606 0.5006
# - SG: P2_1/c (14)
# - Energy of formation from the pure elements: -0.20 eV/atom
# - Electronic total energy: -2.49 eV/atom



# PbSCl2O | Alexandria | PBE | relaxed
data_PbSCl2O
_symmetry_space_group_name_H-M 'P 1'
_symmetry_Int_Tables_number 1
_cell_length_a 4.9439
_cell_length_b 4.9439
_cell_length_c 4.4903

Activity:
Return only the lines above with the word "Energy" in them, please.

Here it is:
# - Energy of formation from the pure elements: -0.07 eV/atom
# - Energy of formation from the pure elements: -0.20 eV/atom